Protein Chips – Sal e Vinagre, 7 Pacotes
As Protein Chips são a opção perfeita para quem busca um lanche saboroso e saudável. Com embalagens de 1,20 oz., esses chips são fáceis de armazenar, ideais para levar a qualquer lugar e perfeitos para dietas controladas por macros. Seja você um atleta de alto desempenho, uma pessoa com estilo de vida ativo, um entusiasta do exercício físico ou alguém que está em busca de uma alimentação balanceada, esses chips são ideais para você. Além disso, tanto adultos quanto crianças vão adorar o sabor e a crocância!
Os Protein Chips são crocantes e satisfazem suas vontades de comer um lanche. Com excelente sabor e textura, eles não trazem a culpa típica de outros snacks. Possuem um final limpo e delicioso, sem nenhum sabor estranho após o consumo. O melhor de tudo é que eles têm o mesmo sabor de batatas fritas comuns.
Esses chips são alimentos de alto desempenho e funcionais. Com alto teor de proteínas (15g), baixo teor de carboidratos (3g líquidos) e alto teor de fibras (5g), eles são perfeitos para quem busca uma alimentação equilibrada e nutritiva.
Além disso, os Protein Chips são livres de açúcar e glúten. Com apenas 130 calorias por pacote, eles são uma opção saudável para qualquer momento do dia. E o melhor de tudo: são 100% fabricados nos Estados Unidos, garantindo qualidade e segurança.
Experimente também outros produtos da Wholesome Provisions, como o Protein Cereal, o Keto Sweetener, a Miracle Flour e os Muscle Tortilla Chips!
Conheça 5 Motivos Recomendados pela Vitaminer Shop para Comprar:
- 1. Lanche saudável e saboroso
- 2. Ideal para dietas controladas por macros
- 3. Alto teor de proteínas (15g)
**Between two parts of the text: materials data:**
┌──
1.
HfScRh2: computed powder diffractogram (a wavelength of 1.5418 Å), based on a structure optimized by DFT (GGA-PBE).
Lines closer than 0.1° are merged.

The 7 most intense peaks (10 to 80 degrees two-theta), sorted by position:
d/Å	two_theta	I (rel.)
3.760	23.66	22
2.302	39.13	100
1.963	46.24	12
1.628	56.53	17
1.494	62.13	5
1.329	70.90	34
1.253	75.93	4

Crystal structure
a b c (Å): 4.6047 4.6047 4.6047
angles (deg): 60.00 60.00 60.00
Sites, in units of the cell vectors:
Hf1 0.0000 0.0000 0.0000
Sc1 0.5000 0.5000 0.5000
Rh1 0.2500 0.2500 0.2500
Rh2 0.7500 0.7500 0.7500

***

2.
SiH9C3Cl: computed powder diffractogram (a wavelength of 1.5418 Å), based on a structure optimized by DFT (GGA-PBE).
Lines closer than 0.1° are merged.

The 12 most intense peaks (10 to 80 degrees two-theta), sorted by position:
d/Å	two_theta	I (rel.)
6.920	12.79	19
6.608	13.40	23
5.230	16.95	100
5.092	17.42	15
4.736	18.74	12
4.129	21.52	25
3.994	22.26	20
3.460	25.75	39
3.418	26.07	12
3.304	26.99	18
3.043	29.35	10
1.997	45.41	15

Crystal structure
a b c (Å): 6.6090 7.9884 6.9213
angles (deg): 90.00 91.04 90.00
Sites, in units of the cell vectors:
Si1 0.1851 0.2500 0.3146
Si2 0.8149 0.7500 0.6854
H1 0.2027 0.0528 0.0363
H2 0.2027 0.4472 0.0363
H3 0.2057 0.5567 0.2607
H4 0.2057 0.9433 0.2607
H5 0.2101 0.1381 0.6485
H6 0.2101 0.3619 0.6485
H7 0.4279 0.0468 0.1813
H8 0.4279 0.4532 0.1813
H9 0.4333 0.2500 0.5877
H10 0.5667 0.7500 0.4123
H11 0.5721 0.5468 0.8187
H12 0.5721 0.9532 0.8187
H13 0.7899 0.6381 0.3515
H14 0.7899 0.8619 0.3515
H15 0.7943 0.0567 0.7393
H16 0.7943 0.4433 0.7393
H17 0.7973 0.5528 0.9637
H18 0.7973 0.9472 0.9637
C1 0.2617 0.0550 0.1858
C2 0.2617 0.4450 0.1858
C3 0.2671 0.2500 0.5746
C4 0.7329 0.7500 0.4254
C5 0.7383 0.5550 0.8142
C6 0.7383 0.9450 0.8142
Cl1 0.1355 0.7500 0.6847
Cl2 0.8645 0.2500 0.3153

***

3.
LiCu6OF11: computed powder diffractogram (a wavelength of 1.5418 Å), based on a structure optimized by DFT (GGA-PBE).
Lines closer than 0.1° are merged.

The 12 most intense peaks (10 to 80 degrees two-theta), sorted by position:
d/Å	two_theta	I (rel.)
3.306	26.97	88
3.265	27.32	100
3.087	28.92	70
2.821	31.72	45
2.772	32.29	38
2.587	34.68	21
1.950	46.57	19
1.918	47.39	23
1.754	52.13	21
1.675	54.80	27
1.652	55.62	22
1.632	56.36	20

Crystal structure
a b c (Å): 4.6290 5.3916 9.2641
angles (deg): 89.86 88.63 89.96
Sites, in units of the cell vectors:
Li1 0.0000 0.0000 0.0000
Cu1 0.2355 0.6618 0.5395
Cu2 0.2378 0.3427 0.8528
Cu3 0.2390 0.9814 0.2383
Cu4 0.6692 0.8064 0.8327
Cu5 0.7313 0.1679 0.5358
Cu6 0.7692 0.5075 0.2244
O1 0.9851 0.7661 0.1523
└──
- 4. Baixo teor de carboidratos (3g líquidos)
- 5. Livre de açúcar e glúten
Os Protein Chips oferecem uma série de benefícios que podem transformar sua rotina alimentar. Primeiro, eles são uma alternativa saudável aos snacks tradicionais, permitindo que você satisfaça sua vontade de comer sem comprometer sua dieta. Segundo, com 15g de proteína por porção, eles ajudam na recuperação muscular e na saciedade, tornando-os ideais para quem pratica atividades físicas. Terceiro, o baixo teor de carboidratos líquidos (3g) os torna perfeitos para dietas cetogênicas, ajudando a manter a cetose. Quarto, a ausência de glúten e açúcar torna esses chips uma escolha segura para pessoas com restrições alimentares. Por último, a praticidade das embalagens facilita o consumo em qualquer lugar, seja no trabalho, na academia ou em casa.
Os Protein Chips são perfeitos para serem consumidos como um lanche rápido e nutritivo. Eles podem ser saboreados a qualquer momento do dia, seja como um lanche pré-treino, um acompanhamento para suas refeições principais ou até mesmo como um petisco entre as refeições. Para maximizar os benefícios, combine-os com uma fonte de gordura saudável, como guacamole ou hummus, para um lanche ainda mais equilibrado. Aproveite o sabor e a crocância desses chips deliciosos e mantenha-se em forma!
Naias –
First chip I tried I was not impressed by. I’m not sure if it was the taste or the texture anymore, but I really didn’t think I was going to like these at all. But I finished the bag, and by the end of the first bag I was in love. The biggest problem was that I ended up eating too many the first night.
The potato starch in these isn’t keto really, but the net carbs are low enough that I’ll have these when I’m craving chips from time to time anyway. I’ve been dying for salt & vinegar chips!
tracy crooks –
Wasn’t sure what to expect from these chips. Turned out to be a very good chip! Very good flavor along with texture. Will be buying more!!
The Bad Person –
I tried the barbecue-delicious. Just note the pic. Both bags are smaller and with more calories than shown in item description. Other nutritional values are different also.
6/10/24-tasted the Sea Salt Vinegar- got through 1 1/2 chips and could not eat anymore. They are like drinking a bottle of vinegar. Horrible, overwhelming.
Wendi A –
I bought these for my husband who is cutting out snacks and had been craving something salty and crispy. I found these and he tired them last week . He was really impressed that they were low carb. We got the salt and vinegar and the bbq, he said they were good tasting. He did say they satisfied the craving for a healthier snack . Although nothing really compares to a real potato chip . Bit they are a good fit for anyone looking to cut back on carbs. The only drawback is the price . You hardly get any chips in the tinest bag ever . It’s like about the size of the bags you put in a kindergartens lunch . For about $9
I probably wouldn’t order again unless I found it somewhere else at a cheaper price . Conclusion, good on taste , bad on price
ahtzmom –
I opened a pack holding my breath that they might be smashed, as so many wrote in reviews. They weren’t! I also wasn’t sure about the vinegar flavor, but they are really good. Just a little hint of vinegar. I’ve been looking for awhile for a chip that I could eat with salsa, that is low carb. These are perfect! They are thick enough to hold the salsa. They have a nice crunchy texture and the flavor is mild enough for the salsa to take center stage. They take the place of tortilla chips nicely. These are really great and I will be buying them regularly.
Makenzie Sparks –
The salt and vinegar chips are SO good! Love them as a snack! But the barbecue ones are kind of gross to me, not like typical barbecue chips you’d eat from lays or something. The flavor is just dull and not good. Sadly, I can’t just purchase the sat and vinegar ones on their own because they’re all sold out so I had to purchase from a different brand because I don’t want to spend that much money for only 3 bags of chips that I like. So I sort of recommend these?
fullpl8 –
I had such high hopes for these “chip” imposters, but they were immediately squashed with my first bite. The crunch is great, but the aftertaste is horrible! I don’t even know how to explain it, other than to say it’s an unnatural, non-food like jolt to the palate. You need to eat them with another food that has a really strong flavor to mask the taste. I could only eat a few, before giving up. I still have three bags left, and they weren’t cheap, so I will try them again (with something that has big, bold flavors), now that I know what I’m in for.
Don R Schol –
I like this protein product for its taste and nutritional qualities. Sadly, I can’t get Amazon to mail it in a box. Instead, it arrives in an envelope, and all of the chips are crushed into tiny pieces.